On October 30, the Canadian Association for Equality and the University of Toronto Men’s Issues Awareness Society hosted the second event in their two-part series on men’s mental health, “Suicide and Men: Why depressed men are dying for someone to talk to,” with speakers Aara Amey-Ayer and Julian Bachlow, mental health educators at the Canadian Mental Health Association. Happily, this event went off without disruption.

With media reports of a number of high-profile people succumbing to depression and eventual suicide, this talk was indeed timely. Bachlow bravely told of his own struggles with depression and suicidal thoughts, providing attendees an insight into this terrible affliction, while Amey-Ayer delivered an informative talk about depression and the state of mental health in Ontario, both generally and for men and boys specifically.

Suicide is tough to talk about, and this was at times quite an uncomfortable event. However, despite its taboo, suicide must be addressed. For many people, recognizing when someone is in distress can be challenging, and knowing how best to deal with it is even tougher, so the insights from these two speakers I’ve summarized below were invaluable.

Recognize the Signs
There are many signs that someone may be having thoughts of suicide. Lack of communication with friends, family, or colleagues or isolating oneself completely is common, as are expressions of loneliness or confusion.

Problems at school or work and not eating or skipping meals can also be signals, as can giving away personal items or costly belongings.

Suicide is not, as many people believe, a selfish act. Those contemplating ending their own life often feel as though they are a burden to family and friends. Completed suicide is not generally attempted regardless of the effect it would have on loved ones; rather, it is viewed as unburdening them.

~~~
Crystalline Na3Cd4F12 at its relaxed geometry. Source: Alexandria, functional PBE.

Summary:
- raw total energy (eV/atom) = -3.83
- uncorrected formation energy (eV per atom) = -2.25
- symmetry = Im-3, No. 204

The structure in extended XYZ format:
```
19
Lattice="-4.234 4.234 4.234 4.234 -4.234 4.234 4.234 4.234 -4.234" Properties=species:S:1:pos:R:3 pbc="T T T"
Na 4.234 0.000 0.000
Na 0.000 4.234 0.000
Na 0.000 0.000 4.234
Cd 2.117 2.117 -2.117
Cd 2.117 -2.117 2.117
Cd -2.117 2.117 2.117
Cd 2.117 2.117 2.117
F 4.234 -1.575 2.561
F 2.660 1.673 0.000
F 5.809 1.673 0.000
F 2.561 4.234 -1.575
F 1.673 0.000 2.660
F 4.234 1.575 2.561
F 0.000 2.660 1.673
F 2.561 4.234 1.575
F 1.673 0.000 5.809
F -1.575 2.561 4.234
F 1.575 2.561 4.234
F 0.000 5.809 1.673
```

~~~~~

# 1
A geometry-optimized TbNdDy2S6 structure. Source: the Alexandria database, functional PBE.

Cell: 6.9957 6.9957 18.5948 Å, 90.00 90.00 120.00°
Space group R3 (No. 146, hexagonal axes)
Symmetry-distinct sites (fractional):
Tb: 0.0000 0.0000 0.0000 x3
Nd: 0.0000 0.0000 0.5045 x3
Dy: 0.0000 0.0000 0.3001 x3
Dy: 0.0000 0.0000 0.7974 x3
S: 0.0051 0.3052 0.3973 x9
S: 0.0181 0.7144 0.8979 x9

- DFT total energy (eV per atom) = -6.384
- M_tot (μB/f.u.) = 0.00
- uncorrected formation energy (eV/f.u.) = -20.48

# 2
A geometry-optimized CdHPt2 structure. Source: the Alexandria database, functional PBE.

Cell: 2.9658 2.9658 21.0227 Å, 90.00 90.00 120.00°
Space group R-3m (No. 166, hexagonal axes)
Symmetry-distinct sites (fractional):
Cd: 0.0000 0.0000 0.0000 x3
H: 0.0000 0.0000 0.5000 x3
Pt: 0.0000 0.0000 0.2245 x6

- DFT total energy (eV per atom) = -4.112
- energy above the lowest structure with this stoichiometry (kJ/mol of formula units) = 13
- M_tot (μB/f.u.) = 0.00

# 3
A geometry-optimized HfPAuS2 structure. Source: the Alexandria database, functional PBE.

Cell: 4.7312 4.7312 4.7301 Å, 90.00 90.00 90.00°
Space group P4/mmm (No. 123)
Symmetry-distinct sites (fractional):
Hf: 0.0000 0.0000 0.0000 x1
P: 0.5000 0.5000 0.0000 x1
Au: 0.5000 0.5000 0.5000 x1
S: 0.0000 0.5000 0.5000 x2

- DFT total energy (eV per atom) = -4.760
- energy above the lowest structure with this stoichiometry (kJ/mol of formula units) = 244
- M_tot (μB/f.u.) = 0.00
- uncorrected formation energy (eV/f.u.) = 3.10

# 4
A geometry-optimized Sm2TmHg6 structure. Source: the Alexandria database, functional PBE.

Cell: 14.4997 11.7904 5.4660 Å, 90.00 100.00 90.00°
Space group C2/c (No. 15)
Symmetry-distinct sites (fractional):
Sm: 0.1668 0.1260 0.0828 x8
Tm: 0.0000 0.3764 0.2500 x4
Hg: 0.0560 0.1287 0.5290 x8
Hg: 0.1083 0.3772 0.8039 x8
Hg: 0.2179 0.3756 0.3625 x8

- DFT total energy (eV per atom) = -2.145
- ΔH_f (0 K) (meV per atom) = -398.5
- M_tot (μB/f.u.) = 0.00

~~~~~

1.
GeAs: relaxed, PBE.

a b c (Å): 4.541 4.541 5.357
angles (deg): 90.00 90.00 120.00
Element x y z (fractional)
Ge 0.333 0.667 0.250
Ge 0.667 0.333 0.750
As 0.333 0.667 0.750
As 0.667 0.333 0.250

Output
**DFT total energy**: -4.55 eV/atom
~~~

Risk factors are varied: negative family experiences and early trauma as well as experiences in teenaged years often factor in. Although altered brain chemicals from either medical issues such as the onset of schizophrenia or side effects of medication may be a cause, often the reasons are more common, such as excessive stress, major life events such as divorce or loss, or frequent moves and uncertainty regarding the future.

Being able to recognize signs and risk factors can give you the opportunity to be there for that person.

Offer Support
It is often important for someone suffering severe depression to know that they are not alone in their struggles. Let them know that you are there for them. Try to remind them that this is a temporary setback, that the way they feel right now will change. Understand that they will not believe that their feelings will change, but try to assure them that this is the case.

Remind them that you care about what happens to them, and although you may not understand exactly what they are going through, you will be there to see them through this.

A depressed person will tend to dwell on negative thoughts, so it is important to get them to recognize and avoid this. Over-analyzing difficulties can be avoided by “mindfulness,” being aware of the present surroundings. Encourage them to observe the world around them with fresh eyes, as a child seeing things for the first time. Another exercise for avoiding “sticky thoughts” is to consciously consider why these thought are sticking; is it helpful?

Above all, encourage them to reach out, and remind them that there is nothing wrong with being a self-advocate.

Men and Depression
Women tend to ask for help with depression in their teens, two-thirds earlier than when men seek help. As a result, troubles are often much more developed before a man seeks help. Unlike women, men tend to seek help after they are in crisis, after they have been arrested or post-divorce, for example. Men will often also express a preference to see male counsellors, which is another impediment: male counsellors are the exception in Canada (and other parts of the world).

While women tend to internalize their pain—eating disorders, for example—men are more likely to externalize. Anger, violence, and self-harm are more frequent. As a result, it is not always the best course of action to notify police when you are concerned. Although most police departments have some officers with mental health training, there is a potential for undesirable results. The incident will be recorded and can cause future issues with crossing international borders or issuing of visas. It is never a good idea to leave a severely depressed person alone; however, friends and family are a better option if the individual refuses to go to a hospital.

There have been many incidents of depressed men being charged with crimes as well. One incident described at the talk was of a man who had cut himself with a knife but then rethought his choice to try to end his life. When he ran into the street to seek help, police were called, and seeing that he still had the knife in his hand, he was charged with possession of a weapon. It is mostly men who are charged in such circumstances.

There are five priority groups with the Canadian Mental Health Association. LGBT, being particularly at risk, are at the top of that list. Although men tend to think and act on suicide more often, sadly, men are not a priority group.

Today, 43% of boys express unhappiness with their appearance and the number of boys with eating disorders is on the rise. There are high levels of PTSD among men. In the United States, two-thirds of the homeless are war veterans. There is also a high level of stigma among men regarding risk factors; men are rarely viewed as victims of violence but rather only perpetrators, for example. And although there is no data on uncompleted suicide, it is known that men and boys make up four times as many completed suicides as women and girls, and suicide is now the second leading cause of death in young men.

Not only are men not considered a priority, but there is also a serious lack of psychiatric services, leaving general practitioners to take up the shortfall. This is far from ideal, as GPs have a widely varying degree of experience and training in mental health.

Mental health services, especially for men, are severely lacking in Ontario—indeed, throughout Canada, the United States, and worldwide—and this is an issue that must be addressed. But until that situation is rectified, it is up to us to do whatever we can to help those around us who are suffering and in need.

The full talk